Source.
# Mg3V2O6

A relaxed Mg3V2O6 crystal (PBE with a Hubbard U, Materials Project).

```
Mg3V2O6
1.0
-2.9027 2.3904 4.6020
-3.1736 -2.9237 -4.2834
1.9296 -12.8982 7.7163
O Mg V
24 12 8
Cartesian
-3.1553 -11.4962 3.8914 O
-1.8197 -3.8558 6.4419 O
-1.4126 -1.5635 0.0139 O
0.1866 -11.3203 7.7298 O
-2.6739 -3.0583 -2.0356 O
-1.3201 -12.9787 5.7325 O
-2.1585 -9.6440 1.6807 O
-3.9986 -2.1542 4.3305 O
-2.3099 -6.4883 1.7875 O
-1.7550 -6.9368 6.0824 O
-0.4937 -7.9914 3.9481 O
-4.1387 -4.9579 -0.0474 O
-1.5283 -9.9846 5.9785 O
-1.7113 -12.6623 1.5803 O
-2.7718 -11.7884 8.1226 O
0.4518 -3.2053 1.8853 O
-3.7498 -5.2712 4.1010 O
-4.4257 -2.1452 0.2262 O
-2.7676 -3.5005 1.9714 O
-3.3966 -8.0841 3.8698 O
-0.2021 -11.2657 3.7093 O
-1.4521 -10.2513 10.0944 O
-2.7431 -0.4764 2.2355 O
-0.6127 -5.2437 4.1820 O
-4.2367 -2.1641 2.2989 Mg
-3.0826 -11.9840 6.0781 Mg
-1.4445 -10.0721 8.0312 Mg
-3.1578 -9.7031 4.8156 Mg
-2.7731 -3.3737 -0.0382 Mg
-0.4333 -9.5143 2.6839 Mg
-0.9830 0.2047 1.1132 Mg
-3.4280 -3.7107 5.4442 Mg
-1.3348 -2.2785 2.2416 Mg
-3.4022 -0.5033 0.0936 Mg
-2.8009 -6.4943 -0.3611 Mg
-5.0763 -7.0227 4.1987 Mg
-2.5952 -0.6412 4.4179 V
-3.6013 -8.1945 1.8859 V
-4.4150 0.9540 2.5149 V
-3.8644 -5.1001 2.0835 V
-1.5383 -12.7422 3.6220 V
-0.2557 -8.2566 5.9795 V
0.0014 -11.2825 5.7051 V
-2.0190 -6.6351 3.9863 V
```

Computed properties:
Energy of formation (eV per atom): -2.72
Space-group type: No. 1
Calculated total energy (eV per atom): -6.82

=====

# MgVO2

A relaxed MgVO2 crystal (PBE with a Hubbard U, Materials Project).

```
MgVO2
1.0
-5.5605 -0.1805 -0.5854
-5.0007 -1.1319 2.2374
-5.0316 1.8345 1.6161
Mg V O
1 1 2
Cartesian
-2.6379 0.0883 0.5529 Mg
-15.5763 0.5216 3.2647 V
-9.0663 0.3036 1.9003 O
-6.5039 0.2178 1.3632 O
```

Computed properties:
Energy of formation (eV per atom): -2.34
Space-group type: No. 160
Calculated total energy (eV per atom): -6.72

=====

# MgV2O6

A relaxed MgV2O6 crystal (PBE with a Hubbard U, Materials Project).

```
MgV2O6
1.0
-4.1556 2.8359 -0.2812
-4.1017 1.0121 2.7463
0.8531 5.8110 3.4855
O Mg V
6 1 2
Cartesian
-2.3589 4.9074 2.9984 O
-7.7455 5.0017 3.1510 O
-5.0453 4.7516 2.9523 O
-4.9326 8.1003 4.9676 O
-2.4716 1.5587 0.9830 O
0.3413 4.6573 2.7996 O
0.4265 2.9055 1.7428 Mg
-6.5191 4.0081 2.5306 V
-0.8851 5.6509 3.4200 V
```

Computed properties:
Energy of formation (eV per atom): -2.52
Excess energy over the best structure of this formula in the dataset (meV/atom): 8
Space-group type: No. 12
Calculated total energy (eV per atom): -7.18


VASP calculation (meta-GGA r2SCAN) on SmFeB4 after structural relaxation.

Cell lengths 5.9640, 11.5568, 3.4903 Å; angles 90.00, 90.00, 90.00 degrees
With the nearest neighbours (Å) after each atom.
Space group Pbam (No. 55)
Inequivalent atoms, fractional coordinates:
Sm1 0.1262 0.1505 0.0000 x4  14 B 2.64-2.76
Fe1 0.1268 0.4173 0.0000 x4  10 B 2.28-2.31, 1 Fe 2.44
B1 0.0220 0.6887 0.5000 x4  3 B 1.73-1.91
B2 0.1114 0.5458 0.5000 x4  3 B 1.70-1.74
B3 0.1411 0.9667 0.5000 x4  3 B 1.74-1.85
B4 0.2221 0.8179 0.5000 x4  3 B 1.79-1.91

Results
Formation enthalpy at 0 K, meV/atom: -507
Total moment, μB/cell: 6.17
Crystal system: orthorhombic

Work order.
Find "4.1820" and "6.0781 Mg" in the data further above, and transcribe these two lines and those between.

Here it is.
-0.6127 -5.2437 4.1820 O
-4.2367 -2.1641 2.2989 Mg
-3.0826 -11.9840 6.0781 Mg